What is needed: repeat only the lines below with the word "geometry-optimized" in them.
=====
No. 1
This record from the Materials Project describes a geometry-optimized TmCr2Fe10 structure. The functional is PBE-GGA.

a = 4.690 Å, b = 6.387 Å, c = 6.387 Å
α = 97.38°, β = 111.54°, γ = 68.46°
Sites, in units of the cell vectors:
Tm 0.000 0.000 0.000
Cr 0.000 0.367 0.367
Cr 0.000 0.633 0.633
Fe 0.724 0.776 0.224
Fe 0.276 0.224 0.776
Fe 0.500 0.774 0.774
Fe 0.500 0.226 0.226
Fe 0.500 0.000 0.500
Fe 0.000 0.000 0.500
Fe 0.500 0.500 0.000
Fe 0.000 0.500 0.000
Fe 0.641 0.359 0.641
Fe 0.359 0.641 0.359

Summary:
- Formation energy from the elements: -6.1 meV per atom
- Raw total energy: -8.351 eV/atom
- Magnetic moment: 17.2 μB/cell

=====

No. 2
This record from the Materials Project describes a geometry-optimized NbTlCl6 structure. The functional is PBE-GGA.

a = 6.971 Å, b = 6.971 Å, c = 12.513 Å
α = 79.61°, β = 79.61°, γ = 55.43°
Sites, in units of the cell vectors:
Nb 0.500 0.000 0.500
Nb 0.000 0.500 0.000
Tl 0.881 0.119 0.750
Tl 0.119 0.881 0.250
Cl 0.463 0.699 0.604
Cl 0.537 0.301 0.396
Cl 0.301 0.537 0.896
Cl 0.699 0.463 0.104
Cl 0.370 0.201 0.659
Cl 0.630 0.799 0.341
Cl 0.799 0.630 0.841
Cl 0.201 0.370 0.159
Cl 0.795 0.895 0.040
Cl 0.205 0.105 0.960
Cl 0.105 0.205 0.460
Cl 0.895 0.795 0.540

Summary:
- Formation energy from the elements: -1651.8 meV per atom
- Raw total energy: -4.136 eV/atom

=====

No. 3
This record from the Materials Project describes a geometry-optimized Nd2Ta3Se2O8 structure. The functional is PBE-GGA.

a = 7.655 Å, b = 9.973 Å, c = 11.955 Å
α = 90.00°, β = 90.00°, γ = 90.00°
Sites, in units of the cell vectors:
Nd 0.000 0.227 0.351
Nd 0.000 0.773 0.649
Nd 0.500 0.273 0.851
Nd 0.500 0.727 0.149
Nd 0.000 0.710 0.156
Nd 0.000 0.290 0.844
Nd 0.500 0.790 0.656
Nd 0.500 0.210 0.344
Ta 0.250 0.364 0.084
Ta 0.750 0.636 0.916
Ta 0.250 0.636 0.916
Ta 0.250 0.136 0.584
Ta 0.750 0.364 0.084
Ta 0.750 0.864 0.416
Ta 0.250 0.864 0.416
Ta 0.750 0.136 0.584
Ta 0.214 0.000 0.000
Ta 0.786 0.000 0.000
Ta 0.286 0.500 0.500
Ta 0.714 0.500 0.500
Se 0.000 0.018 0.164
Se 0.000 0.982 0.836
Se 0.500 0.482 0.664
Se 0.500 0.518 0.336
Se 0.000 0.523 0.360
Se 0.000 0.477 0.640
Se 0.500 0.977 0.860
Se 0.500 0.023 0.140
O 0.000 0.366 0.051
O 0.000 0.634 0.949
O 0.500 0.134 0.551
O 0.500 0.866 0.449
O 0.247 0.287 0.225
O 0.753 0.713 0.775
O 0.247 0.713 0.775
O 0.253 0.213 0.725
O 0.753 0.287 0.225
O 0.747 0.787 0.275
O 0.253 0.787 0.275
O 0.747 0.213 0.725
O 0.000 0.149 0.549
O 0.000 0.851 0.451
O 0.500 0.351 0.049
O 0.500 0.649 0.951
O 0.264 0.303 0.475
O 0.736 0.697 0.525
O 0.264 0.697 0.525
O 0.236 0.197 0.975
O 0.736 0.303 0.475
O 0.764 0.803 0.025
O 0.236 0.803 0.025
O 0.764 0.197 0.975
O 0.245 0.057 0.397
O 0.755 0.943 0.603
O 0.245 0.943 0.603
O 0.255 0.443 0.897
O 0.755 0.057 0.397
O 0.745 0.557 0.103
O 0.255 0.557 0.103
O 0.745 0.443 0.897

Summary:
- Formation energy from the elements: -3097.8 meV per atom
- Raw total energy: -8.844 eV/atom
- Magnetic moment: 0.0 μB/cell

=====

Which of these has the lowest raw total energy? Nd2Ta3Se2O8

=====

Among the records above, which one has the lowest formation energy from the elements? Nd2Ta3Se2O8


This record from the Materials Project database describes a relaxed structure of Ho2Fe17N3. The functional is GGA-PBE.

Results
VASP energy: -8.329 eV per atom
Formation energy: -6.16 eV/f.u.
E (MP2020): -184.32 eV per formula unit

Structure (CIF):
```
data_Ho2Fe17N3
_chemical_formula_sum 'Ho4 Fe34 N6'
_cell_length_a 8.6350
_cell_length_b 8.6350
_cell_length_c 8.3889
_cell_angle_alpha 90.00
_cell_angle_beta 90.00
_cell_angle_gamma 120.00
_symmetry_space_group_name_H-M 'P 63/m m c'
_symmetry_Int_Tables_number 194
_symmetry_space_group_name_Hall '-P 6c 2c'
loop_
_atom_site_label
_atom_site_type_symbol
_atom_site_fract_x
_atom_site_fract_y
_atom_site_fract_z
=====
This record from the Materials Project describes a geometry-optimized TmCr2Fe10 structure. The functional is PBE-GGA.
This record from the Materials Project describes a geometry-optimized NbTlCl6 structure. The functional is PBE-GGA.
This record from the Materials Project describes a geometry-optimized Nd2Ta3Se2O8 structure. The functional is PBE-GGA.